(Material)
27
Properties=species:S:1:pos:R:3:mulliken_charge:R:1 method="wB97M-V/def2-TZVPD" relative_energy_kj_mol=292.5
C -4.329 -0.731 -0.150 -0.69
C -3.875 0.566 -0.435 -0.37
C -3.305 -1.727 0.195 -0.48
C -2.576 0.968 -0.214 -0.12
C -2.031 -1.297 0.361 -0.18
C -1.686 0.036 0.282 0.41
C 1.337 1.743 -0.241 0.78
C 2.183 0.644 -0.946 -0.55
C 2.027 3.021 -0.015 -1.40
C 3.115 -2.798 0.867 -0.68
N 0.248 1.532 0.344 -0.35
N -0.342 0.350 0.592 -0.44
O 2.858 -1.480 0.260 -0.16
P 1.793 -1.059 -0.752 -0.01
H -5.291 -0.985 -0.276 0.50
H -4.595 1.289 -0.815 0.32
H -3.598 -2.806 0.184 0.29
H -2.263 2.058 -0.373 0.30
H -1.157 -1.956 0.462 0.26
H 2.071 0.825 -2.024 0.35
H 3.322 0.903 -0.752 0.29
H 2.273 3.605 -0.858 0.32
H 2.965 2.895 0.522 0.31
H 1.395 3.617 0.568 0.42
H 4.127 -2.992 0.679 0.27
H 2.439 -3.602 0.636 0.33
H 2.895 -2.620 1.899 0.27

28
Properties=species:S:1:pos:R:3:mulliken_charge:R:1 method="wB97M-V/def2-TZVPD" relative_energy_kj_mol=373.0
C 2.597 0.549 -0.244 -0.30
C 2.354 -1.795 -0.458 -0.71
C 1.181 0.685 -0.306 -0.41
C 1.041 -1.603 -0.589 -0.69
C 3.213 -0.720 -0.368 0.70
C 0.334 -0.359 -0.437 0.19
C -1.135 -0.306 -0.607 -0.94
C -4.756 1.606 1.582 -0.22
C -1.846 0.207 0.536 -0.08
C 5.414 0.182 -0.087 -0.75
N -3.960 0.626 1.572 -0.73
N -3.136 0.420 0.441 0.56
O 4.552 -0.899 -0.201 -0.43
P -3.964 0.238 -1.103 -0.20
S -5.876 -0.240 -0.775 -0.30
H 3.141 1.466 -0.041 0.32
H 2.745 -2.766 -0.450 0.46
H 0.866 1.691 0.016 0.29
H 0.404 -2.404 -0.567 0.37
H -1.501 0.258 -1.446 0.49
H -1.556 -1.333 -0.758 0.46
H -5.272 1.775 2.515 0.29
H -4.908 2.473 0.743 0.24
H -1.330 0.473 1.505 0.41
H 5.533 0.798 -1.057 0.29
H 6.421 -0.329 -0.026 0.22
H 5.118 0.764 0.832 0.33
H -5.674 -1.460 -0.221 0.13

27
Properties=species:S:1:pos:R:3:mulliken_charge:R:1 method="wB97M-V/def2-TZVPD" relative_energy_kj_mol=98.3 charge=+1
C -0.904 3.180 -2.277 -0.37
C -0.842 1.887 -2.830 -0.66
C -0.628 3.397 -0.928 -0.83
C -0.669 0.794 -2.010 -0.18
C -0.328 2.338 -0.132 -0.20
C -0.402 1.008 -0.628 0.29
C 1.907 -2.085 1.857 0.52
C 1.868 -0.523 2.385 -0.73
C 0.001 -0.038 0.271 0.65
C -1.877 -1.521 0.099 -1.06
N 3.005 -2.469 1.222 -0.35
N -0.613 -1.145 0.551 0.08
O 0.916 -2.787 2.105 -0.67
S 1.478 0.495 0.934 0.06
H -1.163 4.022 -2.889 0.41
H -0.952 1.680 -3.877 0.43
H -0.698 4.350 -0.522 0.49
H -0.879 -0.157 -2.501 0.29
H -0.069 2.409 1.006 0.29
H 0.889 -0.468 2.967 0.30
H 2.746 -0.201 2.915 0.48
H -2.170 -2.432 0.812 0.31
H -2.659 -0.805 0.141 0.45
H -1.960 -1.941 -0.876 0.37
H 3.860 -1.892 1.166 0.22
H 3.090 -3.349 0.794 0.24
H -0.088 -1.709 1.318 0.16

27
Properties=species:S:1:pos:R:3:mulliken_charge:R:1 method="wB97M-V/def2-TZVPD" relative_energy_kj_mol=131.1
C -0.121 -3.693 0.739 -0.49
C -0.025 -2.451 1.371 -0.13
C -1.755 -2.465 0.089 -0.07
C -1.989 0.718 1.099 -0.34
C -1.045 -0.258 1.003 -0.30
C -1.535 2.020 0.779 0.47
C 0.433 0.808 0.318 1.17
C 1.577 0.648 1.314 -1.77
C -0.557 0.512 -1.921 -0.85
C 0.727 0.436 -1.165 -0.44
N -1.238 -3.635 -0.049 -0.66
N -2.136 3.146 0.799 -0.83
N -0.950 -1.610 0.900 0.26
O -0.221 2.014 0.410 -0.40
H 0.556 -4.545 0.977 0.34
H 0.730 -2.129 2.156 0.38
H -2.614 -1.970 -0.333 0.43
H -2.971 0.738 1.593 0.45
H 1.452 0.833 2.331 0.40
H 2.458 1.245 1.012 0.41
H 2.164 -0.322 1.240 0.35
H -0.341 -0.022 -2.935 0.39
H -0.817 1.628 -2.017 0.21
H -1.291 -0.188 -1.425 0.12
H 1.521 1.126 -1.628 0.33
H 1.109 -0.642 -1.243 0.29
H -1.483 3.873 0.581 0.28

28
Properties=species:S:1:pos:R:3:mulliken_charge:R:1 method="wB97M-V/def2-TZVPD" relative_energy_kj_mol=152.6 charge=+1
C -1.379 -3.282 -1.147 -0.44
C -1.546 -2.658 0.080 -0.76
C -0.598 -2.690 -2.126 -0.71
C -0.941 -1.440 0.329 -0.16
C 0.024 -1.479 -1.881 -0.20
C -0.145 -0.846 -0.651 0.47
C 0.537 0.436 -0.391 0.23
C -0.381 1.003 3.621 0.49
C 2.805 -0.077 -0.913 -0.88
C -0.912 3.605 0.552 -0.66
N 0.291 0.586 4.497 -0.32
N 1.754 0.764 -0.509 -0.42
N 0.009 2.645 0.152 -0.48
N -0.326 1.461 0.062 0.46
O -0.889 1.309 2.621 -0.47
H -1.859 -4.228 -1.342 0.41
H -2.149 -3.120 0.846 0.42
(Request)
Your job: find the line above that holds "relative_energy_kj_mol=292.5", then echo that line and all lines after it there.
(Written answer)
Properties=species:S:1:pos:R:3:mulliken_charge:R:1 method="wB97M-V/def2-TZVPD" relative_energy_kj_mol=292.5
C -4.329 -0.731 -0.150 -0.69
C -3.875 0.566 -0.435 -0.37
C -3.305 -1.727 0.195 -0.48
C -2.576 0.968 -0.214 -0.12
C -2.031 -1.297 0.361 -0.18
C -1.686 0.036 0.282 0.41
C 1.337 1.743 -0.241 0.78
C 2.183 0.644 -0.946 -0.55
C 2.027 3.021 -0.015 -1.40
C 3.115 -2.798 0.867 -0.68
N 0.248 1.532 0.344 -0.35
N -0.342 0.350 0.592 -0.44
O 2.858 -1.480 0.260 -0.16
P 1.793 -1.059 -0.752 -0.01
H -5.291 -0.985 -0.276 0.50
H -4.595 1.289 -0.815 0.32
H -3.598 -2.806 0.184 0.29
H -2.263 2.058 -0.373 0.30
H -1.157 -1.956 0.462 0.26
H 2.071 0.825 -2.024 0.35
H 3.322 0.903 -0.752 0.29
H 2.273 3.605 -0.858 0.32
H 2.965 2.895 0.522 0.31
H 1.395 3.617 0.568 0.42
H 4.127 -2.992 0.679 0.27
H 2.439 -3.602 0.636 0.33
H 2.895 -2.620 1.899 0.27

28
Properties=species:S:1:pos:R:3:mulliken_charge:R:1 method="wB97M-V/def2-TZVPD" relative_energy_kj_mol=373.0
C 2.597 0.549 -0.244 -0.30
C 2.354 -1.795 -0.458 -0.71
C 1.181 0.685 -0.306 -0.41
C 1.041 -1.603 -0.589 -0.69
C 3.213 -0.720 -0.368 0.70
C 0.334 -0.359 -0.437 0.19
C -1.135 -0.306 -0.607 -0.94
C -4.756 1.606 1.582 -0.22
C -1.846 0.207 0.536 -0.08
C 5.414 0.182 -0.087 -0.75
N -3.960 0.626 1.572 -0.73
N -3.136 0.420 0.441 0.56
O 4.552 -0.899 -0.201 -0.43
P -3.964 0.238 -1.103 -0.20
S -5.876 -0.240 -0.775 -0.30
H 3.141 1.466 -0.041 0.32
H 2.745 -2.766 -0.450 0.46
H 0.866 1.691 0.016 0.29
H 0.404 -2.404 -0.567 0.37
H -1.501 0.258 -1.446 0.49
H -1.556 -1.333 -0.758 0.46
H -5.272 1.775 2.515 0.29
H -4.908 2.473 0.743 0.24
H -1.330 0.473 1.505 0.41
H 5.533 0.798 -1.057 0.29
H 6.421 -0.329 -0.026 0.22
H 5.118 0.764 0.832 0.33
H -5.674 -1.460 -0.221 0.13

27
Properties=species:S:1:pos:R:3:mulliken_charge:R:1 method="wB97M-V/def2-TZVPD" relative_energy_kj_mol=98.3 charge=+1
C -0.904 3.180 -2.277 -0.37
C -0.842 1.887 -2.830 -0.66
C -0.628 3.397 -0.928 -0.83
C -0.669 0.794 -2.010 -0.18
C -0.328 2.338 -0.132 -0.20
C -0.402 1.008 -0.628 0.29
C 1.907 -2.085 1.857 0.52
C 1.868 -0.523 2.385 -0.73
C 0.001 -0.038 0.271 0.65
C -1.877 -1.521 0.099 -1.06
N 3.005 -2.469 1.222 -0.35
N -0.613 -1.145 0.551 0.08
O 0.916 -2.787 2.105 -0.67
S 1.478 0.495 0.934 0.06
H -1.163 4.022 -2.889 0.41
H -0.952 1.680 -3.877 0.43
H -0.698 4.350 -0.522 0.49
H -0.879 -0.157 -2.501 0.29
H -0.069 2.409 1.006 0.29
H 0.889 -0.468 2.967 0.30
H 2.746 -0.201 2.915 0.48
H -2.170 -2.432 0.812 0.31
H -2.659 -0.805 0.141 0.45
H -1.960 -1.941 -0.876 0.37
H 3.860 -1.892 1.166 0.22
H 3.090 -3.349 0.794 0.24
H -0.088 -1.709 1.318 0.16

27
Properties=species:S:1:pos:R:3:mulliken_charge:R:1 method="wB97M-V/def2-TZVPD" relative_energy_kj_mol=131.1
C -0.121 -3.693 0.739 -0.49
C -0.025 -2.451 1.371 -0.13
C -1.755 -2.465 0.089 -0.07
C -1.989 0.718 1.099 -0.34
C -1.045 -0.258 1.003 -0.30
C -1.535 2.020 0.779 0.47
C 0.433 0.808 0.318 1.17
C 1.577 0.648 1.314 -1.77
C -0.557 0.512 -1.921 -0.85
C 0.727 0.436 -1.165 -0.44
N -1.238 -3.635 -0.049 -0.66
N -2.136 3.146 0.799 -0.83
N -0.950 -1.610 0.900 0.26
O -0.221 2.014 0.410 -0.40
H 0.556 -4.545 0.977 0.34
H 0.730 -2.129 2.156 0.38
H -2.614 -1.970 -0.333 0.43
H -2.971 0.738 1.593 0.45
H 1.452 0.833 2.331 0.40
H 2.458 1.245 1.012 0.41
H 2.164 -0.322 1.240 0.35
H -0.341 -0.022 -2.935 0.39
H -0.817 1.628 -2.017 0.21
H -1.291 -0.188 -1.425 0.12
H 1.521 1.126 -1.628 0.33
H 1.109 -0.642 -1.243 0.29
H -1.483 3.873 0.581 0.28

28
Properties=species:S:1:pos:R:3:mulliken_charge:R:1 method="wB97M-V/def2-TZVPD" relative_energy_kj_mol=152.6 charge=+1
C -1.379 -3.282 -1.147 -0.44
C -1.546 -2.658 0.080 -0.76
C -0.598 -2.690 -2.126 -0.71
C -0.941 -1.440 0.329 -0.16
C 0.024 -1.479 -1.881 -0.20
C -0.145 -0.846 -0.651 0.47
C 0.537 0.436 -0.391 0.23
C -0.381 1.003 3.621 0.49
C 2.805 -0.077 -0.913 -0.88
C -0.912 3.605 0.552 -0.66
N 0.291 0.586 4.497 -0.32
N 1.754 0.764 -0.509 -0.42
N 0.009 2.645 0.152 -0.48
N -0.326 1.461 0.062 0.46
O -0.889 1.309 2.621 -0.47
H -1.859 -4.228 -1.342 0.41
H -2.149 -3.120 0.846 0.42